The Enduring Legacy of The Mothman Prophecies
As The Mothman Prophecies turns 20, we look back at the legends that inspired the movie and explore its everlasting creepiness.

This feature contains spoilers for The Mothman Prophecies
Twenty years ago, on Jan 25, 2002, The Mothman Prophecies opened in movie theaters. Starring Richard Gere and Laura Linney and directed by Mark Pellington, the movie was a critical and commercial nonstarter, but in recent years it has developed a cult following as a truly creepy psychological horror flick.
Adapted from the book by John A. Keel, the film follows Gere’s reporter character John Klein, whose wife witnesses a flying moth-like creature with red eyes shortly before dying of a brain tumor. Two years later, he finds himself lost in Point Pleasant, West Virginia, where strange sightings of a similar figure are on the rise. As he becomes a part of this mystery he’s likewise grappling with his lingering grief, and his sanity begins to unravel.
Atmospheric and unsettling, the movie also features one of the weirdest product placements in cinema when a demon-alien voice on the phone tells Gere’s character that it knows he’s holding Chapstick lip balm. (Just say “Chaaaaapstick” to a fan of this movie and watch the response.)
Now, two decades later, Mothman — a mysterious cryptid/alien/ultraterrestrial — is having a moment. The Mothman Prophecies created a slow burn movement that launched Mothman into “It Monster” status, and it’s certainly become a darling to Etsy designers who seem to love making Mothy merch.
To honor the anniversary of this weird movie — which Keel said “managed to squeeze the basic truths” of the real story into it — let’s explore some original Mothman lore.
The Mothman
On Nov. 15, 1966, in the small town of Point Pleasant, West Virginia, two married couples fled a World War II munitions dump site — dubbed the “TNT area” — claiming they’d seen a terrifying creature. The Point Pleasant Register ran a headline the next day: “Couples See Man-Sized Bird … Creature … Something!”
Steve Mallette and Roger Scarberry reported seeing a “man with wings” “about six or seven feet tall, having a wingspan of 10 feet and red eyes about two inches in diameter and six inches apart.” Moreover, the thing was said to be a clumsy runner but extremely fast, traveling up to 100 mph once it took flight.
By Nov. 18, more sightings had emerged that took place before the couples’ report. A community gravedigger named Kenneth Duncan, and other men, were digging his brother-in-law’s grave about 500 miles away when they saw “something that looked like a brown human being” flying. Newell Partridge, who lived about 100 miles outside of Point Pleasant, said he saw the thing about 90 minutes before the married couples. He believed it was linked to the disappearance of his dog who spotted red eyes in a field, chased after them, and never returned.
As around 100 other accounts mounted, wildlife biologist Dr. Robert L. Smith postulated the creature was a sandhill crane. Mason County Sheriff George Johnson said he thought it was a “freak shitepoke” heron.
On November 17, 1966, the Huntington Herald-Dispatch published the headline, “Bird, Plane Or Batman? Mason Countians Hunt ‘Moth Man.'” This adds credence to the theory Mothman got its name because the Adam West Batman series was quite popular during the time of the sightings. Though the comic book villain Killer Moth did not appear in the series, he was in an eight-minute unaired “pilot” for Season Three in 1967, which debuted Yvonne Craig as Batgirl.
John A. Keel
Journalist and UFOlogist John A. Keel wrote The Mothman Prophecies in 1975. It collected his research on the Point Pleasant sightings while also connecting them to a larger pattern of phenomena such as UFOs, reports of flying men, Men in Black (MiBs), Native American Thunderbirds, the birdlike Garuda of Buddhist and Hindu lore, and even ghosts. Keel posited theories of “ultraterrestrials,” or beings not from outer space, but from a reality slightly out of alignment with our own, whose presence aligned with ancient folklore.
The NYC-based author, who died in 2009, was often on the ground in Point Pleasant beginning in 1966 — calling it his second home for a time — and maintained frequent contact with eyewitnesses. In The Mothman Prophecies, the author is adapted into Gere’s John Klein, but Keel’s UFOlogy researcher side is represented by the character Leek (Keel spelled backwards), played by Alan Bates.
It should be noted that Gray Barker published The Silver Bridge, a book about the Mothman, in 1970, five years prior to Keel. Barker also notably introduced the concept of MiBs to the mainstream in his 1956 book They Knew Too Much About Flying Saucers, though Keel is attributed as coining the term. Barker’s credibility remains dubious due to his involvement in hoaxes.
Indrid Cold
In November 1966, about 51 miles from Point Pleasant, Woodrow Derenberger was driving home one night when he saw an unusual craft land ahead of him. He described it as “an old-fashioned kerosene lamp chimney, flaring at both ends, narrowing down to a small neck and then enlarging in a great bulge in the center,” and from within a man emerged through a hatch that had “slightly elongated” eyes, with slicked back dark brown hair, and deeply tanned skin. He wore reflective blue clothing and had an expression of a wide grin.
Communicating telepathically, the figure introduced himself as Indrid Cold, and said “we mean you no harm.” Derenberger said he visited with Cold and others like him subsequent times, and learned they were from the planet Lanulos. The man even said he visited the planet.
Around the same time, the Lily family in Point Pleasant told Keel they had seen strange lights in the sky and poltergeist activity in their home. One night the daughter Linda woke to a large man looming over her with a broad smile.
Cold came to be known by another moniker, The Grinning Man. Along with an October 1966 sighting in New Jersey, Keel’s Mothman investigation came to include Cold and these strange smiling visitors. Derenberger is adapted into a character played by Will Patton in The Mothman Prophecies, and it is Cold who is the voice of Mothy, uttering the creepy “chaaapstick” line while on the phone with Klein.
Mary Hyre
Mary Hyre was considered a star reporter at The Athens Messenger — located on the other side of the Ohio Rive near Point Pleasant — where she would also write a column about strange occurrences called “Where the Waters Mingle.”
Keel viewed her as a friend, and held her in high regard, writing, “If you wanted to find out anything about the area, and its people, the quickest way was to ‘ask Mary Hyre.’” Indeed, Mary joined Keel on his investigations, and she likewise experienced phenomena. She was also visited by potential MiBs that warned her not to write about sightings.
Additionally, it would seem her niece Connie Carpenter was one of Keel’s early interviewees on the case. Carpenter saw a huge, flying gray figure with red eyes while on the way home from church. The experience left her with “eyeburn,” or red, watery, swollen eyes; these are symptoms Keel associated with UFO encounters.
In the film, Debra Messing plays Klein’s wife, Mary, who encounters the moth creature, and later dies from a brain tumor. Laura Linney’s police officer character Connie is more closely the Mary Hyre of the film as she befriends Klein and provides a voice of sanity as he unravels.
Keel dedicated The Mothman Prophecies book “To Mary Hyre, and the people of West Virginia.”
The Bridge
The Mothman sightings mounted, with upwards of 100 associated with the phenomenon. These preceded the collapse of the Silver Bridge into the Ohio River on Dec. 15, 1967 — a year and a month after the first reported sighting. The collapse during rush hour killed 46 people and was attributed to a defect in a single link of the low redundancy eyebar-chain suspension bridge.
Built in 1928, the Silver Bridge was under undue strain. By 1967, the average vehicle was more than twice as heavy as in the late 20s, and the bridge experienced frequent traffic jams. The collapse of the bridge was inevitable considering it was not designed with a radically different future in mind.
The Silver Bridge disaster was linked to Mothman sightings, with some paranormalists concluding the creature was either a harbinger of doom, a messenger who seeks to warn of disaster, or simply an observer of human events.
Records of crystals, as found in the file.
/*
Entry a
{"formula": "RbSr3Cd", "functional": "PBE", "state": "optimized geometry", "cell": [[6.571, 0.000, 0.000], [0.000, 6.571, 0.000], [0.000, 0.000, 6.571]], "species": ["Sr", "Sr", "Sr", "Rb", "Cd"], "fractional_positions": [[0.000, 0.500, 0.000], [0.000, 0.000, 0.500], [0.500, 0.000, 0.000], [0.500, 0.500, 0.500], [0.000, 0.000, 0.000]]}

Entry b
{"formula": "RbSr3Cd", "functional": "PBE", "state": "optimized geometry", "cell": [[7.529, 0.000, 0.000], [0.000, 7.529, 0.000], [0.000, 0.000, 7.529]], "species": ["Sr", "Sr", "Sr", "Rb", "Cd"], "fractional_positions": [[0.000, 0.500, 0.000], [0.000, 0.000, 0.500], [0.500, 0.000, 0.000], [0.000, 0.000, 0.000], [0.500, 0.500, 0.500]]}

Which of them is the most stable? Correct choice: entry a.

Entry a
{"formula": "RbTaCd2", "functional": "PBE", "state": "optimized geometry", "cell": [[-3.354, 4.499, -1.300], [-1.185, -2.362, -5.118], [-10.031, -3.579, 0.733]], "species": ["Cd", "Cd", "Cd", "Cd", "Rb", "Rb", "Ta", "Ta"], "fractional_positions": [[0.846, 0.125, 0.250], [0.904, 0.625, 0.250], [0.375, 0.154, 0.750], [0.875, 0.096, 0.750], [0.500, 0.500, 0.000], [0.250, 0.750, 0.500], [0.000, 0.000, 0.000], [0.750, 0.250, 0.500]]}

Entry b
{"formula": "RbTaCd2", "functional": "PBE", "state": "optimized geometry", "cell": [[-0.097, -4.630, 2.652], [-2.013, -0.205, 4.937], [-4.646, -2.471, 0.886]], "species": ["Cd", "Cd", "Rb", "Ta"], "fractional_positions": [[0.250, 0.250, 0.250], [0.750, 0.750, 0.750], [0.000, 0.000, 0.000], [0.500, 0.500, 0.500]]}

Which of them is the most stable? Correct choice: entry b.

Entry a
{"formula": "Rb2Cd2Tc", "functional": "PBE", "state": "optimized geometry", "cell": [[7.509, 0.000, 0.000], [0.000, 7.509, 0.000], [0.000, 0.000, 6.140]], "species": ["Tc", "Tc", "Rb", "Rb", "Rb", "Rb", "Cd", "Cd", "Cd", "Cd"], "fractional_positions": [[0.000, 0.000, 0.000], [0.500, 0.500, 0.000], [0.175, 0.675, 0.500], [0.675, 0.825, 0.500], [0.825, 0.325, 0.500], [0.325, 0.175, 0.500], [0.343, 0.843, 0.000], [0.843, 0.657, 0.000], [0.657, 0.157, 0.000], [0.157, 0.343, 0.000]]}

Entry b
{"formula": "Rb2Cd2Tc", "functional": "PBE", "state": "optimized geometry", "cell": [[-2.759, -3.345, 1.974], [3.653, -3.058, -0.075], [2.665, -0.731, 8.236]], "species": ["Tc", "Rb", "Rb", "Cd", "Cd"], "fractional_positions": [[0.000, 0.000, 0.000], [0.750, 0.250, 0.500], [0.250, 0.750, 0.500], [0.416, 0.416, 0.168], [0.584, 0.584, 0.832]]}

Which of them is the most stable? Correct choice: entry a.
*/
The Legacy
The Mothman Prophecies failed to make much of a dent in the box office, only landing in the top three on opening day. Box Office Mojo reports it made $55 million worldwide off its $32 million budget, and it was a dud with most critics. Still, the film has garnered a cult following in recent years as a creepy, underrated flick. And it has done wonders for Mothy!
Keel’s book brought Mothman into the mainstream, and paranormal weirdos (aka fans of anomalistic phenomena) knew of the creature, but aside from being mentioned in the 1997 X-Files episode “Detour,” it wasn’t getting a lot of love. The film helped make Mothy a rock star over time.
In 2002, Point Pleasant organized an annual Mothman Festival, held the third weekend of each September (which will be returning in 2022 after being canceled the previous two years). And in 2003, artist Bob Roach unveiled his 12-foot-tall, polished steel Mothman statue (with red, orb-like eyes) just steps from the Mothman Museum in downtown Point Pleasant.
As for sightings, there have been numerous accounts in the years since the movie was released. Unfortunately, most — like the Freiburg Shrieker at a collapsed mine in Germany — are likely the stuff of internet legend that then influenced urban legends.
Many stories, such as the Blackbird of Chernobyl, seen before the nuclear reactor disaster in 1986, were retconned to have taken place in the past, but only emerged in the early aughts. The Mothman Prophecies also references Chernobyl and claims the “moth man” moniker is translated from Ukrainian, but this is total fiction.
More recently, Chicago has laid claim to its own Mothman, beginning with standalone reports in 2011 and then additional accounts in 2017. The reports were elevated by paranormal bloggers and then picked up by news outlets, but are questionably sourced. Unfortunately, what seemed like multiple sightings may have been only a few repeated across sites. Interestingly, they coincided with both the 50th anniversary of the West Virginia sightings, and with The Mothman of Point Pleasant documentary.